Chapter 4: With my Family!

Percy cleared his throat, "no to sound angry, BUT ARE YOU FREAKING MAD?! I can barely learn human shit, and now you want me to learn magic?! Granted it's magic, but shit women, I can't perform miracles!"

"We believe we can help you with that," The Fates said, "we will get you a teacher, one of the best in the world for magic, we believe with her help you will be more than ready by the time the next year rolls around."

Percy looked surprised, "really? A tutor? Who did you three have in mind?"

The Fates smiled, "it is better we keep that to ourselves. One mention of her name and she will be alerted to us and will know who we are speaking to. We must first inform her of our...situation and then batter for her help. It will take some time."

Perc groaned, "okay then, so what exactly am I supposed to do till then?"

"We have made arrangements for you," The Fates snapped their fingers and a black cloth bag with a green trident on it appeared in their hand. "This is a bag made out of mokeskin, a magic bag which can only be opened and used by the owner, you. It also is charmed to be ever expanding, meaning you can store a great many things inside it and have plenty of space for more."

Percy's eyes went wide as he took the bag. It felt empty in his hands, but when he opened it he found it filled with golden coins. Percy gaped, "woah! Is that gold?!"

"Yes, like us greeks the wizards use gold, silver and bronze as currency. The gold coins are known as galleons, the silver as sickles and the bronze as knuts. We have provided funds for you Percy, use them wisely."

Percy sighed, "right. Thanks for this. Although it's kind of surprising you have this all planned out."

"We needed time to get this ready."

"But you found me in like minutes after I reached here."

"Exactly, we needed that time to prepare all of this for you."

"So you knew I would say yes?"


"Wow….okay, I'm not going to lie, that's impressive. Scary, but impressive."

The Fates nodded, they got up and one of them gave Percy a map, "this map will lead you to a place called the Leaky Cauldron, an entranceway to the wizarding world. You will be able to find it just fine, once there rent a room and stay there, don't talk to anyone, don't do anything. Hopefully by tonight we will have your teacher ready for you, and you can begin….assimilating to the wizarding world."

{
  "formula": "C22H34N5O4SeTi",
  "method": "ωB97M-V with the def2-TZVPD basis set",
  "species": ["H", "H", "C", "C", "C", "H", "H", "H", "H", "O", "C", "C", "H", "H", "Se", "O", "C", "H", "C", "H", "H", "C", "H", "N", "C", "C", "C", "H", "C", "H", "C", "H", "H", "C", "N", "H", "H", "H", "H", "C", "H", "C", "C", "O", "C", "H", "H", "N", "C", "N", "Ti", "H", "H", "C", "H", "H", "C", "H", "H", "H", "H", "N", "H", "H", "C", "O", "H"],
  "coordinates": [[3.691117, 1.360475, 0.750157], [0.145152, 3.522201, -2.161741], [2.934021, 0.971947, 1.424152], [2.198981, 1.127998, -3.161893], [0.235427, -0.151953, -4.610638], [-3.266599, -6.171018, 3.649290], [-4.660882, -5.676398, 2.690337], [-4.162023, -4.713674, 4.075073], [3.356234, 1.097964, -4.982575], [4.194466, 2.398112, -2.510544], [-1.557955, -4.838691, 2.157649], [-3.791570, -5.309385, 3.238560], [1.687460, 1.740787, 2.992131], [3.440430, 0.384398, 2.191188], [0.017943, -1.977197, -0.453326], [-1.250051, 0.791866, -1.529816], [-1.197972, -2.957709, 0.684225], [1.632532, -0.116604, -6.280748], [2.984983, 1.871123, -2.296933], [1.432331, -0.495999, 1.178141], [-0.075614, 5.192948, -0.023259], [0.063431, 0.176715, -3.308570], [1.673680, 4.746098, 1.472506], [1.021050, 0.773328, -2.503635], [-3.175855, -1.423259, 0.172360], [-2.545931, -2.607537, 0.858122], [2.172777, 2.105689, 2.088388], [-1.006933, 3.482068, -1.034112], [1.609412, 4.003650, 0.669907], [-0.749851, -0.148155, 1.039666], [-2.889156, -4.495692, 2.349483], [-1.762297, 1.002137, 0.545574], [1.266314, 5.109536, -1.133984], [0.715497, -4.560740, 1.176358], [2.013682, 0.137089, 0.628100], [2.875539, 2.875756, 2.413756], [0.941517, -4.761948, 0.128042], [-0.787327, 3.542394, 1.383001], [2.605907, 3.846590, 0.271862], [-0.781674, 1.595770, 2.251782], [4.527870, 2.157246, -3.383579], [-0.707166, -4.101462, 1.340586], [0.679348, 4.523745, -0.430266], [2.490421, 2.070261, -1.136121], [1.477390, 0.141657, -5.244102], [0.896604, -5.466159, 1.755286], [-4.156313, -1.685351, -0.230267], [-0.001800, 3.411546, -1.162884], [-1.196787, 0.162654, -2.602239], [1.134069, 2.712247, 1.203250], [0.657212, 1.333356, -0.665814], [-0.216159, 1.006705, 2.972409], [1.420084, -3.791144, 1.497182], [2.419837, 0.803779, -4.522079], [-3.332702, -0.593201, 0.870289], [-2.522353, -1.073454, -0.624520], [-0.110452, 2.924996, 1.976649], [2.545848, -0.510748, 0.050652], [-4.405257, -3.093695, 1.793768], [-0.581987, -0.604159, -5.155075], [-1.766391, 1.754318, 2.691391], [-0.853837, 0.871595, 0.977694], [-2.975225, -0.420274, -2.527367], [-1.164313, -5.718910, 2.655584], [-3.361840, -3.377294, 1.682709], [-2.247347, -0.367482, -3.168422], [0.103057, 3.478549, 2.897246]],

Percy raised an eyebrow, "wait if you know the future then you know that my teacher is going to say yes, and if you also know that….did you know that Kronos would send me here?"

The Fates smiled, "good bye Percy Jackson."

"Hey wait! I need answers gods dammit!" But the three old women exploded in a burst of light and teleported away, leaving Percy blinking away away bright light spots from his vision.

'Great, just great,' Percy grumbled, he quickly pocketed the mokeskin bag and pulled out the map. He found a big red sticker with 'you' written on it posted on one corner, and a line drawn through London ending on the other corner.

It was quite far away from where he was, and Percy didn't have any money on him, well, nothing he could spend anyway. So with no other choice Percy got up from the bench and began walking, following the instructions on the map.

Percy walked down London, truly the place was amazing tourist location. Percy felt strange being here though as most of the people were oddly dressed. Every wore such old clothes, every guy wore a plaid shirt while every woman wore a tight t-shirt. It was like they were stuck in the 90's!

Oh wait….never mind. Percy forgot, again, he was in the 90's. He realised now that the time travel thing really did happen. Not just the fashion but the way they acted and spoke. The New York born and raised boy from the 2000's wasn't really comfortable with this place, but hey, it was at least better than being stuck in the 70's, now that would be a nightmare!

Percy eventually reached the place in question, after stopping and asking directions many times. Honestly the roads were all mixed up, how was anyone supposed to find anything here? But either way he did it, he made it to the Leaky Cauldron, good thing too, as it had already become dark.

Percy pushed open the door and stopped. 'Did I time travel...again?!'

The inside of the place looked like a victoria area play stage. The people were dressed in robes and sitting around candle light tables. The people looked like they were from the past, the ancient past. There was no form of electricity in the place, there wasn't even a fan!

Percy turned around and looked outside, sure enough the streets were still the same, and he was still in the 90's. But when he looked back in the pub it looked like he was in Victorian England!

Percy groaned, 'what have I gotten myself into?' Percy walked inside wearly, the people gave him one look before scoffing and looking away. Percy looked surprised, 'what are they looking at? My clothes? What's wrong with my clothes? You're the one who's dressed up to go to a medieval convection!'

Percy grumbled and walked to the man behind the bar, presumably the owner. The man saw him coming and smiled, "yes young man, how can I help you?"

"Ah, I was hoping for a room here for the night," Percy said as the people at the bar suddenly took notice of him giving him a once over.

"Ah American are you? What brings you here?" the man asked.

"I'm visiting, with my family."